_To do_
Could you restate the whole of the lines further below word for word?

_Input_
┌──
# 1
# Y6Mn11S20 GGA-PBE relaxed
# total magnetization	54.036	μB/cell
# energy relative to the elements	-1309	meV per atom
# DFT total energy	-7.045	eV per atom
# space-group type	R-3m (166)
data_Y6Mn11S20
_chemical_formula_sum 'Y6 Mn11 S20'
_space_group_name_H-M_alt 'P 1'
_space_group_IT_number 1
_cell_length_a 59.989
_cell_length_b 59.989
_cell_length_c 59.989
_cell_angle_alpha 3.67
_cell_angle_beta 3.67
_cell_angle_gamma 3.67
loop_
_space_group_symop_operation_xyz
'x,y,z'
loop_
_atom_site_label
_atom_site_fract_x
_atom_site_fract_y
_atom_site_fract_z
Y1 0.101 0.101 0.101
Y2 0.152 0.152 0.152
Y3 0.202 0.202 0.202
Y4 0.798 0.798 0.798
Y5 0.848 0.848 0.848
Y6 0.899 0.899 0.899
Mn1 0.000 0.000 0.000
Mn2 0.050 0.050 0.050
Mn3 0.251 0.251 0.251
Mn4 0.300 0.300 0.300
Mn5 0.350 0.350 0.350
Mn6 0.400 0.400 0.400
Mn7 0.600 0.600 0.600
Mn8 0.650 0.650 0.650
Mn9 0.700 0.700 0.700
Mn10 0.749 0.749 0.749
Mn11 0.950 0.950 0.950
S1 0.025 0.025 0.025
S2 0.074 0.074 0.074
S3 0.124 0.124 0.124
S4 0.174 0.174 0.174
S5 0.225 0.225 0.225
S6 0.275 0.275 0.275
S7 0.325 0.325 0.325
S8 0.375 0.375 0.375
S9 0.424 0.424 0.424
S10 0.475 0.475 0.475
S11 0.525 0.525 0.525
S12 0.576 0.576 0.576
S13 0.625 0.625 0.625
S14 0.675 0.675 0.675
S15 0.725 0.725 0.725
S16 0.775 0.775 0.775
S17 0.826 0.826 0.826
S18 0.876 0.876 0.876
S19 0.926 0.926 0.926
S20 0.975 0.975 0.975

=====

# 2
# Rb8N3O GGA-PBE relaxed
# total magnetization	2.999	μB/cell
# energy relative to the elements	286	meV per atom
# DFT total energy	-2.807	eV per atom
# space-group type	Pm-3m (221)
data_Rb8N3O
_chemical_formula_sum 'Rb8 N3 O1'
_space_group_name_H-M_alt 'P 1'
_space_group_IT_number 1
_cell_length_a 7.109
_cell_length_b 7.109
_cell_length_c 7.109
_cell_angle_alpha 90.00
_cell_angle_beta 90.00
_cell_angle_gamma 90.00
loop_
_space_group_symop_operation_xyz
'x,y,z'
loop_
_atom_site_label
_atom_site_fract_x
_atom_site_fract_y
_atom_site_fract_z
Rb1 0.249 0.249 0.249
Rb2 0.249 0.249 0.751
Rb3 0.249 0.751 0.249
Rb4 0.249 0.751 0.751
Rb5 0.751 0.249 0.249
Rb6 0.751 0.249 0.751
Rb7 0.751 0.751 0.249
Rb8 0.751 0.751 0.751
N1 0.000 0.500 0.500
N2 0.500 0.000 0.500
N3 0.500 0.500 0.000
O1 0.000 0.000 0.000

=====

# 3
# CrN2 GGA-PBE relaxed
# total magnetization	0.005	μB/cell
# energy relative to the elements	-100	meV per atom
# DFT total energy	-8.635	eV per atom
# space-group type	Ima2 (46)
data_CrN2
_chemical_formula_sum 'Cr4 N8'
_space_group_name_H-M_alt 'P 1'
_space_group_IT_number 1
_cell_length_a 7.667
_cell_length_b 7.667
_cell_length_c 7.667
_cell_angle_alpha 89.00
_cell_angle_beta 106.48
_cell_angle_gamma 137.21
loop_
_space_group_symop_operation_xyz
'x,y,z'
loop_
_atom_site_label
_atom_site_fract_x
_atom_site_fract_y
_atom_site_fract_z
Cr1 0.146 0.099 0.244
Cr2 0.146 0.401 0.547
Cr3 0.854 0.599 0.453
Cr4 0.854 0.901 0.756
N1 0.025 0.025 0.000
N2 0.025 0.525 0.500
N3 0.102 0.261 0.341
N4 0.499 0.307 0.341
N5 0.499 0.658 0.691
N6 0.919 0.761 0.659
N7 0.967 0.158 0.659
N8 0.967 0.807 0.309

=====

# 4
# CaTmHg2 GGA-PBE relaxed
# energy relative to the elements	-515	meV per atom
# DFT total energy	-2.287	eV per atom
# space-group type	Fm-3m (225)
data_CaTmHg2
_chemical_formula_sum 'Ca1 Tm1 Hg2'
_space_group_name_H-M_alt 'P 1'
_space_group_IT_number 1
_cell_length_a 5.258
_cell_length_b 5.258
_cell_length_c 5.258
_cell_angle_alpha 60.00
_cell_angle_beta 60.00
_cell_angle_gamma 60.00
loop_
_space_group_symop_operation_xyz
'x,y,z'
loop_
_atom_site_label
_atom_site_fract_x
_atom_site_fract_y
_atom_site_fract_z
Ca1 0.000 0.000 0.000
Tm1 0.500 0.500 0.500
Hg1 0.250 0.250 0.250
Hg2 0.750 0.750 0.750

----------

1.
# BaV2H2Se4O14, relaxed, DFT PBE+U
data_BaV2H2Se4O14
_cell_length_a 7.2061
_cell_length_b 9.8879
_cell_length_c 10.0129
_cell_angle_alpha 63.47
_cell_angle_beta 90.00
_cell_angle_gamma 90.00
_space_group_name_H-M_alt 'P 1'
_space_group_IT_number 1
_space_group_name_Hall 'P 1'
loop_
_atom_site_label
_atom_site_type_symbol
_atom_site_fract_x
_atom_site_fract_y
_atom_site_fract_z
└──

_Reply_
# 1
# Y6Mn11S20 GGA-PBE relaxed
# total magnetization	54.036	μB/cell
# energy relative to the elements	-1309	meV per atom
# DFT total energy	-7.045	eV per atom
# space-group type	R-3m (166)
data_Y6Mn11S20
_chemical_formula_sum 'Y6 Mn11 S20'
_space_group_name_H-M_alt 'P 1'
_space_group_IT_number 1
_cell_length_a 59.989
_cell_length_b 59.989
_cell_length_c 59.989
_cell_angle_alpha 3.67
_cell_angle_beta 3.67
_cell_angle_gamma 3.67
loop_
_space_group_symop_operation_xyz
'x,y,z'
loop_
_atom_site_label
_atom_site_fract_x
_atom_site_fract_y
_atom_site_fract_z
Y1 0.101 0.101 0.101
Y2 0.152 0.152 0.152
Y3 0.202 0.202 0.202
Y4 0.798 0.798 0.798
Y5 0.848 0.848 0.848
Y6 0.899 0.899 0.899
Mn1 0.000 0.000 0.000
Mn2 0.050 0.050 0.050
Mn3 0.251 0.251 0.251
Mn4 0.300 0.300 0.300
Mn5 0.350 0.350 0.350
Mn6 0.400 0.400 0.400
Mn7 0.600 0.600 0.600
Mn8 0.650 0.650 0.650
Mn9 0.700 0.700 0.700
Mn10 0.749 0.749 0.749
Mn11 0.950 0.950 0.950
S1 0.025 0.025 0.025
S2 0.074 0.074 0.074
S3 0.124 0.124 0.124
S4 0.174 0.174 0.174
S5 0.225 0.225 0.225
S6 0.275 0.275 0.275
S7 0.325 0.325 0.325
S8 0.375 0.375 0.375
S9 0.424 0.424 0.424
S10 0.475 0.475 0.475
S11 0.525 0.525 0.525
S12 0.576 0.576 0.576
S13 0.625 0.625 0.625
S14 0.675 0.675 0.675
S15 0.725 0.725 0.725
S16 0.775 0.775 0.775
S17 0.826 0.826 0.826
S18 0.876 0.876 0.876
S19 0.926 0.926 0.926
S20 0.975 0.975 0.975

=====

# 2
# Rb8N3O GGA-PBE relaxed
# total magnetization	2.999	μB/cell
# energy relative to the elements	286	meV per atom
# DFT total energy	-2.807	eV per atom
# space-group type	Pm-3m (221)
data_Rb8N3O
_chemical_formula_sum 'Rb8 N3 O1'
_space_group_name_H-M_alt 'P 1'
_space_group_IT_number 1
_cell_length_a 7.109
_cell_length_b 7.109
_cell_length_c 7.109
_cell_angle_alpha 90.00
_cell_angle_beta 90.00
_cell_angle_gamma 90.00
loop_
_space_group_symop_operation_xyz
'x,y,z'
loop_
_atom_site_label
_atom_site_fract_x
_atom_site_fract_y
_atom_site_fract_z
Rb1 0.249 0.249 0.249
Rb2 0.249 0.249 0.751
Rb3 0.249 0.751 0.249
Rb4 0.249 0.751 0.751
Rb5 0.751 0.249 0.249
Rb6 0.751 0.249 0.751
Rb7 0.751 0.751 0.249
Rb8 0.751 0.751 0.751
N1 0.000 0.500 0.500
N2 0.500 0.000 0.500
N3 0.500 0.500 0.000
O1 0.000 0.000 0.000

=====

# 3
# CrN2 GGA-PBE relaxed
# total magnetization	0.005	μB/cell
# energy relative to the elements	-100	meV per atom
# DFT total energy	-8.635	eV per atom
# space-group type	Ima2 (46)
data_CrN2
_chemical_formula_sum 'Cr4 N8'
_space_group_name_H-M_alt 'P 1'
_space_group_IT_number 1
_cell_length_a 7.667
_cell_length_b 7.667
_cell_length_c 7.667
_cell_angle_alpha 89.00
_cell_angle_beta 106.48
_cell_angle_gamma 137.21
loop_
_space_group_symop_operation_xyz
'x,y,z'
loop_
_atom_site_label
_atom_site_fract_x
_atom_site_fract_y
_atom_site_fract_z
Cr1 0.146 0.099 0.244
Cr2 0.146 0.401 0.547
Cr3 0.854 0.599 0.453
Cr4 0.854 0.901 0.756
N1 0.025 0.025 0.000
N2 0.025 0.525 0.500
N3 0.102 0.261 0.341
N4 0.499 0.307 0.341
N5 0.499 0.658 0.691
N6 0.919 0.761 0.659
N7 0.967 0.158 0.659
N8 0.967 0.807 0.309

=====

# 4
# CaTmHg2 GGA-PBE relaxed
# energy relative to the elements	-515	meV per atom
# DFT total energy	-2.287	eV per atom
# space-group type	Fm-3m (225)
data_CaTmHg2
_chemical_formula_sum 'Ca1 Tm1 Hg2'
_space_group_name_H-M_alt 'P 1'
_space_group_IT_number 1
_cell_length_a 5.258
_cell_length_b 5.258
_cell_length_c 5.258
_cell_angle_alpha 60.00
_cell_angle_beta 60.00
_cell_angle_gamma 60.00
loop_
_space_group_symop_operation_xyz
'x,y,z'
loop_
_atom_site_label
_atom_site_fract_x
_atom_site_fract_y
_atom_site_fract_z
Ca1 0.000 0.000 0.000
Tm1 0.500 0.500 0.500
Hg1 0.250 0.250 0.250
Hg2 0.750 0.750 0.750

----------

1.
# BaV2H2Se4O14, relaxed, DFT PBE+U
data_BaV2H2Se4O14
_cell_length_a 7.2061
_cell_length_b 9.8879
_cell_length_c 10.0129
_cell_angle_alpha 63.47
_cell_angle_beta 90.00
_cell_angle_gamma 90.00
_space_group_name_H-M_alt 'P 1'
_space_group_IT_number 1
_space_group_name_Hall 'P 1'
loop_
_atom_site_label
_atom_site_type_symbol
_atom_site_fract_x
_atom_site_fract_y
_atom_site_fract_z